**Source:**
********
This record from OMol25 describes a structure of composition C40H46BrFeN3O3PSTe at a distorted geometry. The level of theory is the ωB97M-V functional and the def2-TZVPD basis.

Last column: Löwdin charge in e.
Atoms and positions in Å:
H -1.432 -5.845 -3.673  0.093
C -3.210 -0.181 -2.738  -0.091
H -5.218 0.309 1.295  0.110
H -2.186 -4.385 3.633  0.108
H 2.162 -0.221 1.807  0.058
H -2.344 0.235 -2.240  0.038
H 1.354 1.966 3.249  0.112
H 4.228 -1.804 -1.000  0.056
C -3.419 0.966 0.330  -0.030
H 5.031 2.379 1.222  0.072
Fe 0.519 2.135 -0.007  0.456
C 3.727 -1.703 -0.050  -0.109
H 5.231 1.239 -2.190  0.064
C -2.099 1.333 0.535  -0.330
H -3.588 0.595 -3.428  0.094
C -3.635 0.441 2.700  -0.216
H 5.331 6.456 3.797  0.096
Te -1.668 -2.380 -0.744  0.974
H -4.884 -2.772 -6.717  0.081
O 5.305 5.946 4.605  0.115
H -3.494 -2.179 -7.608  0.068
C 2.497 0.599 -2.723  -0.505
C 3.983 1.568 -0.446  -0.556
C 2.391 -1.015 -0.150  -0.555
N -4.581 0.250 3.749  0.079
H 1.813 -1.564 -0.885  0.071
C -2.447 -3.813 -4.875  -0.014
H -2.304 -4.676 -5.521  0.109
H 0.373 0.253 -2.807  0.075
O 4.100 4.406 5.633  0.123
C 3.436 4.854 3.399  -0.131
C -3.286 -1.573 -4.756  -0.041
C -2.865 -1.484 -3.437  -0.326
C 1.682 -0.986 1.186  -0.140
H 3.588 -2.738 0.296  0.094
H -2.264 0.489 5.108  0.109
C 4.048 4.984 2.139  -0.061
H 3.716 2.560 -0.810  0.080
H 4.385 -1.227 0.629  0.050
C -1.493 1.162 1.841  -0.163
H 3.404 1.959 1.641  0.077
P 2.418 0.669 -0.853  1.060
H 3.191 1.422 -2.911  0.098
C 1.331 4.374 2.270  -0.129
H 0.113 1.088 5.368  0.111
H 1.017 0.758 -4.356  0.068
C -3.418 -2.604 3.793  -0.047
H 1.604 4.496 4.426  0.126
C -5.059 -3.783 1.907  -0.115
C -1.641 0.724 4.256  0.027
C -2.267 0.745 2.936  -0.082
H -3.698 -3.894 -7.244  0.062
H 3.849 4.957 0.054  0.103
C -4.587 -2.036 3.505  -0.312
C 1.969 4.511 1.021  -0.662
C 3.331 4.821 0.990  -0.149
C -2.208 -2.547 -2.823  -0.517
C 2.918 -0.749 -3.265  -0.107
C 5.230 1.100 -1.129  -0.109
H -6.449 -2.199 2.442  0.128
C 1.110 0.920 -3.305  -0.116
C -0.321 1.113 4.375  -0.026
N -0.227 1.599 2.029  0.041
H 0.621 -0.616 1.127  0.046
N -5.016 -0.828 4.082  0.080
H 5.461 0.047 -0.899  0.076
C -3.122 -2.718 -5.493  -0.240
C 0.321 1.569 3.214  -0.142
H 3.877 -1.038 -2.874  0.055
H 0.272 4.174 2.309  0.097
C -3.864 -4.461 2.258  -0.641
C 4.288 1.609 1.039  -0.110
H 2.203 -1.526 -2.992  0.083
H 2.966 -0.743 -4.329  0.074
H 5.994 1.788 -0.748  0.090
C -3.055 -3.842 3.231  -0.108
C -1.983 -3.756 -3.559  -0.324
C 2.072 4.542 3.439  -0.030
H -3.753 -0.703 -5.192  0.116
S 1.079 4.285 -0.508  0.578
H -3.869 0.958 -0.670  0.095
C -3.804 -2.890 -6.863  -0.043
H 1.716 -1.958 1.691  0.089
H 0.819 1.951 -3.107  0.066
H 4.692 0.658 1.368  0.071
C -4.170 0.480 1.398  -0.006
H -0.654 -4.938 -2.319  0.059
C -5.440 -2.629 2.567  -0.025
O -1.286 1.689 -0.462  -0.240
Br -3.444 -6.244 1.563  0.653
H -4.020 -0.371 -2.035  0.067
C 4.275 5.075 4.660  -0.481
H -2.401 -5.396 -2.275  0.081
H -5.684 -4.242 1.137  0.106
H 5.142 5.193 2.120  0.129
H -2.754 -2.111 4.548  0.131
C -1.578 -5.034 -2.903  -0.102

The calculation puts the total energy at -6787.064140 Eh. The calculation puts the LUMO energy (alpha / beta) at -0.3 / -1.9 eV. Its spin multiplicity is 6. The calculation puts the energy above the lowest of the compared OMol25 structures with the same formula, charge and spin at 0.0 kJ/mol. The net charge is 0.

=====

This record from OMol25 describes the molecule C3H4N4O at a distorted geometry. The level of theory is the ωB97M-V functional and the def2-TZVPD basis.

Last column: Löwdin charge in e.
Atoms and positions in Å:
H 1.432 -2.050 0.315  0.144
N 2.494 -0.221 0.208  0.108
C -2.081 -0.548 0.097  -0.207
H -3.070 -1.047 0.063  0.113
H 2.475 0.776 -0.239  0.109
C -0.404 0.744 -0.098  -0.405
H -0.085 2.554 -0.147  0.092
C 1.493 -0.927 0.044  -0.188
N -0.974 -1.334 -0.148  0.032
O 0.398 1.779 -0.080  0.138
N 0.094 -0.482 -0.281  -0.049
N -1.772 0.755 0.265  0.112
********
**Wanted:**
Work out how many lines further above have the word "distorted" in them; a number is enough, please.
**Response:**
2